Writing Data-Driven Applications - Enyo: Up and Running (2015)

Enyo: Up and Running (2015)

Chapter 5. Writing Data-Driven Applications

Enyo provides first-class support for creating rich, data-driven applications. Along with the data binding and observer features we touched on briefly in Chapter 2, there are models, collections, data-driven controls, and ways to synchronize data with remote data sources. In this chapter we’ll explore these concepts and components.


The bindings in Enyo work with any Object, which makes it easy to associate the data from one component to another. Sometimes, however, the data that needs binding doesn’t live neatly within any one component in the app. To handle such situations, Enyo has Model. Model, which is not actually an Object but does support get() and set(), is designed to wrap plain-old JavaScript objects and make the data available for binding. The following illustrates the creation of a simple model:

var restaurant = new enyo.Model({

name: 'Orenchi',

cuisine: 'Japanese',

specialty: 'ramen'


You can derive from Model to create new model types and specify default attributes and values:


name: 'RestaurantModel',

kind: 'enyo.Model',

attributes: {

name: 'unknown',

cuisine: 'unknown',

specialty: 'unknown',

rating: 0



Whenever a RestaurantModel is instantiated, the defaults will be applied to any properties whose values are not explicitly defined:

var mcd = new RestaurantModel({ name: 'McDonalds' });


// returns 'unknown'



In this sample and some that follow, there is an interactive console that allows you to experiment with the code. You can type JavaScript statements into the gray box and run them to see what happens. Try creating new models or changing some of the values around and see what happens. The console is based on a lightly modified version of JS Console by Remy Sharp.

In addition to defaults, you can add methods, computed properties (discussed later in this chapter), observers, and bindings to models. For example, to track how often the name of a restaurant has changed, you can add a nameChanged() method:


name: 'RestaurantModel',

kind: 'enyo.Model',

attributes: {

name: 'unknown',

cuisine: 'unknown',

specialty: 'unknown',

rating: 0


nameChanged: function(was, is) {

if(is) {

this.changeCount = this.changeCount ?

this.changeCount++ : 1;





The previous code checks to ensure that the name is being set to a new value and, if so, increments the count (unless it was undefined, in which case it is assigned a value of 1).


The nameChanged method is not invoked during model creation, as the example shows. Also, note that the changeCount property is not fetchable using get() because it was not declared in the attributes block. When calling get() or set() on a model, you are interacting with properties on the attributes member, not the model itself. Always use get() and set() when working with model properties.

It is very easy to design components that work with models. Let’s create a component to view our restaurant model:


name: 'RestaurantView',

components: [

{ name: 'name' },

{ name: 'cuisine' },

{ name: 'specialty' },

{ name: 'rating' }


bindings: [

{ from: 'model.name', to: '$.name.content' },

{ from: 'model.cuisine', to: '$.cuisine.content' },

[Calculated crystals from another source follow]
<<<
Compound: LiGdAlTl
Source: Alexandria
Functional: PBE
Structure: optimized geometry

Computed properties:
**ΔE_f**: -0.245 eV/atom
**DOS at the Fermi energy**: 1.7 states/eV/f.u.
**Magnetization**: 7.01 μB/f.u.

The structure in extended XYZ format:
```
4
Lattice="0.0000 3.5869 3.5869 3.5869 0.0000 3.5869 3.5869 3.5869 0.0000" Properties=species:S:1:pos:R:3 pbc="T T T"
Li 0.0000 0.0000 0.0000
Gd 3.5869 3.5869 3.5869
Al 5.3803 5.3803 5.3803
Tl 1.7934 1.7934 1.7934
```

***

Compound: LiGdTmAl
Source: Alexandria
Functional: PBE
Structure: optimized geometry

Computed properties:
**ΔE_f**: -0.209 eV/atom
**DOS at the Fermi energy**: 3.1 states/eV/f.u.
**Magnetization**: 7.49 μB/f.u.

The structure in extended XYZ format:
```
4
Lattice="0.0000 3.6367 3.6367 3.6367 0.0000 3.6367 3.6367 3.6367 0.0000" Properties=species:S:1:pos:R:3 pbc="T T T"
Li 0.0000 0.0000 0.0000
Gd 1.8183 1.8183 1.8183
Tm 5.4550 5.4550 5.4550
Al 3.6367 3.6367 3.6367
```

***

Compound: GdLuAl2
Source: Alexandria
Functional: PBE
Structure: optimized geometry

Computed properties:
**Distance to the lowest polymorph of the same formula**: 0.718 kcal/mol of atoms
**ΔE_f**: -0.361 eV/atom
**DOS at the Fermi energy**: 2.6 states/eV/f.u.
**Magnetization**: 7.32 μB/f.u.

The structure in extended XYZ format:
```
4
Lattice="4.6899 0.0000 0.0000 0.0000 4.6899 0.0000 0.0000 0.0000 4.1838" Properties=species:S:1:pos:R:3 pbc="T T T"
Gd 0.0000 0.0000 0.0000
Lu 2.3449 2.3449 0.0000
Al 0.0000 2.3449 2.0919
Al 2.3449 0.0000 2.0919
```

***

Compound: GdLuAl2
Source: Alexandria
Functional: PBE
Structure: optimized geometry

Computed properties:
**Distance to the lowest polymorph of the same formula**: 0.000 kcal/mol of atoms
**ΔE_f**: -0.392 eV/atom
**DOS at the Fermi energy**: 2.0 states/eV/f.u.
**Magnetization**: 7.07 μB/f.u.

The structure in extended XYZ format:
```
4
Lattice="3.5659 0.0000 0.0000 0.0000 3.5659 0.0000 0.0000 0.0000 7.2129" Properties=species:S:1:pos:R:3 pbc="T T T"
Gd 0.0000 0.0000 0.0000
Lu 0.0000 0.0000 3.6064
Al 1.7829 1.7829 1.8978
Al 1.7829 1.7829 5.3151
```

***

Question: Number 1 is which compound?
Answer: LiGdAlTl

----------

First-principles (GGA-PBE) data for crystalline TaZnCu2 at its relaxed geometry, as listed in OQMD.

Results
ΔH_f (0 K) = 0.163 eV per atom

Unit cell a=6.0559 b=6.0559 c=6.0559 alpha=90.00 beta=90.00 gamma=90.00
With the nearest neighbours (Å) after each atom.
Sites, in units of the cell vectors:
Ta1 0.0000 0.0000 0.0000  4 Zn 2.62, 4 Cu 2.62
Ta2 0.0000 0.5000 0.5000  4 Cu 2.62, 4 Zn 2.62
Ta3 0.5000 0.0000 0.5000  4 Cu 2.62, 4 Zn 2.62
Ta4 0.5000 0.5000 0.0000  4 Cu 2.62, 4 Zn 2.62
Zn1 0.2500 0.2500 0.2500  4 Ta 2.62, 4 Cu 2.62
Zn2 0.2500 0.7500 0.7500  4 Ta 2.62, 4 Cu 2.62
Zn3 0.7500 0.2500 0.7500  4 Ta 2.62, 4 Cu 2.62
Zn4 0.7500 0.7500 0.2500  4 Ta 2.62, 4 Cu 2.62
Cu1 0.0000 0.0000 0.5000  4 Cu 2.62, 4 Zn 2.62
Cu2 0.0000 0.5000 0.0000  4 Cu 2.62, 4 Zn 2.62
Cu3 0.2500 0.2500 0.7500  4 Ta 2.62, 4 Cu 2.62
>>>

{ from: 'model.specialty', to: '$.specialty.content' },

{ from: 'model.rating', to: '$.rating.content' }




The RestaurantView component uses bindings to map the fields from its model property to the appropriate controls. Whenever a new model is assigned or one of the properties in the assigned model changes, the contents of the control will be updated. To assign the model to the view, set themodel property during creation, use set(), or bind the model property to a model stored elsewhere.


While Model wraps a single object, Collection is a Component that wraps arrays of objects. A collection can be initialized with an array, in which case each object in the array is upgraded to a model as it’s added:

var fruits = new enyo.Collection([

{ name: 'apple' },

{ name: 'cherry' },

{ name: 'banana' }


Individual models can be retrieved with the at() method. Models can be added by calling the add() method and passing in an object, a model, or an array of either:


// returns "apple"

fruits.add({ name: 'rambutan' });


// returns "rambutan"


In many ways, collections behave like arrays. They have a length property that reflects the number of items in the collection. They also support various Array methods like find() and forEach(). For a comprehensive list of methods supported by Collection, see the full API documentation.

Like Model, Collection can be subclassed to specify additional configuration and methods. For example, you can specify a default model to be used when objects are added to the array:


name: 'RestaurantCollection',

kind: 'enyo.Collection',

model: 'RestaurantModel'


Collections are very powerful when they are teamed up with data-aware components. We’ll explore those later in this chapter.

Computed Properties

Applications often need to alter or combine data before it can be used. For example, it is convenient to combine a person’s first and last names into a full name. Enyo provides computed properties to centralize this work instead of requiring you to write repetitive code. Computed properties can be used on any Object or Model and work just like other properties.

Let’s adjust the RestaurantModel to have a property that contains the rating expressed in number of stars:


name: 'RestaurantModel',

kind: 'enyo.Model',

attributes: {

name: 'unknown',

cuisine: 'unknown',

specialty: 'unknown',

rating: 0


computed: [

{ method: 'starRating', path: 'rating' }


starRating: function() {

var rating = this.get('rating');

return rating + ' star' + ((rating == 1) ? '' : 's');



var rest = new RestaurantModel({

name: 'The French Laundry',

rating: 5



// returns "5 stars"


A computed property requires a method with the same name to compute the value. The path in the declaration refers to the property (or properties) it is dependent upon, much like observers. The path can be either a string (if there is only one property) or an array of strings. If one of its pathproperties changes, a computed property is recalculated the next time it is needed.

Data-Aware Components

Using bindings, any component can be linked with data from another component or with a model. When dealing with collections, you need controls that know how to render the contents. Unsurprisingly, these components deal with displaying data in lists or tables. The core data-aware components include DataList, DataRepeater, and DataGridList. The Moonstone library includes some additional data-aware components.

Each of these components looks for a collection property that will contain the data to be rendered. Let’s implement a DataRepeater that can display the collection of restaurants we created earlier:


name: 'RestaurantRepeater',

kind: 'enyo.DataRepeater',

components: [{

components: [

{ name: 'name' },

{ name: 'cuisine' },

{ name: 'specialty' },

{ name: 'rating' }


bindings: [

{ from: 'model.name', to: '$.name.content' },

{ from: 'model.cuisine', to: '$.cuisine.content' },

{ from: 'model.specialty', to: '$.specialty.content' },

{ from: 'model.rating', to: '$.rating.content' }





As with Repeater, the components block is the template for each row. The bindings section in the preceding code references a model property, which is automatically set from the collection for each row that needs to be rendered. This allows for a simple mapping from the properties of the model to the components in the DataRepeater.

We can simplify the previous code by reusing our RestaurantView component:


name: 'RestaurantRepeater',

kind: 'enyo.DataRepeater',

components: [{ kind: 'RestaurantView' }]



Some of the benefits of using data-aware components over their non-data-aware versions include automatic updates when any of the underlying models change, built-in support for selection, and simpler binding of data to the components. You can find out more about the data-aware components in the API viewer.

Fetching Remote Data

It’s a rare app these days that doesn’t interact with data stored somewhere in the cloud or locally in the browser. Enyo uses the concept of data sources to work with persistent data. There are three data sources included with Enyo: AjaxSource, JsonpSource, and LocalStorageSource. Apps can use or extend these to fetch and commit data.


The Ajax and JSONP sources are intended to be extended by app developers. They will work as-is in cases where the server interaction is very simple.

Let’s revisit the sample from Chapter 3 where we fetched the list of repos from GitHub. We’ll update that sample to use a collection, a source, and a DataRepeater:

enyo.ready(function() {

enyo.AjaxSource.create({ name: 'ajax' });

var collection = new enyo.Collection({

source: 'ajax',

url: 'https://api.github.com/users/enyojs/repos'



name: 'RepoView',

kind: 'DataRepeater',

collection: collection,

components: [{

components: [{ name: 'repoName' }],

bindings: [

{ from: 'model.name', to: '$.repoName.content' }




new enyo.Application({ name: 'app', view: 'RepoView' });




In the preceding code, we created a new instance of AjaxSource (the Ajax source component) and assigned it to a new collection. We then assigned the collection to the collection attribute of the DataRepeater. Finally, we called the fetch() method on the collection to get the list of repositories from GitHub.

In addition to the fetch() method, models and collections support commit() and destroy(). All three methods can take an optional parameter hash that affects the way the source treats the data. If not supplied, the options will be taken from the model or collection’s options property. In this way, you can override the default options for a specific method call.


fetch(), commit(), and destroy() require that the model or collection not be in an error state. You must call the clearError() method on a model after an error occurs. You should define an error handler either in the options hash for the collection or when passing the options to those methods.


Enyo has a feature that will attempt to consolidate models to reduce memory usage and avoid out-of-sync data. For example, if two collections use the same model, they will share any instances of models that have the same primaryKey (by default 'id').

Putting It All Together

To get a feel for what a full Enyo application is like, take a look at a restaurant list app online. This app implements several of the features we’ve covered in previous chapters, including the Onyx UI library, Router, Collections, and a collection-aware list. The app also uses local storage to persist the restaurants between loads. You can view the source on GitHub.


In this chapter, we touched on just a few of the features Enyo provides for creating data-driven applications. We covered models, the basic building blocks of data-driven applications, and collections. We discussed computed properties and how to use them. Lastly, we covered how to fetch data from remote sources. There are even more features that we didn’t get to explain, including collection filters and relational data. With all these rich features, it is easy to create data-driven applications with Enyo.